-- Exercise --
Please return only the lines further down with the word "Fractional" in them.

-- File --
<<<
Record 1
The following is a PBE calculation of a geometry-optimized CsK6Rb12 structure, from Alexandria via LeMat-Bulk.

Values from the calculation:
Formation energy: 0.024 eV per atom

Cell: 11.8812 11.8812 11.8812 Å, 88.57 88.57 88.57°
Fractional positions:
Cs: 0.0000 0.0000 0.0000
K: 0.7343 0.8859 0.2730
K: 0.7270 0.2657 0.1141
K: 0.1141 0.7270 0.2657
K: 0.2657 0.1141 0.7270
K: 0.2730 0.7343 0.8859
K: 0.8859 0.2730 0.7343
Rb: 0.8024 0.5239 0.4293
Rb: 0.4293 0.8024 0.5239
Rb: 0.5239 0.4293 0.8024
Rb: 0.1976 0.4761 0.5707
Rb: 0.5707 0.1976 0.4761
Rb: 0.4761 0.5707 0.1976
Rb: 0.0411 0.1567 0.3823
Rb: 0.8433 0.6177 0.9589
Rb: 0.6177 0.9589 0.8433
Rb: 0.9589 0.8433 0.6177
Rb: 0.1567 0.3823 0.0411
Rb: 0.3823 0.0411 0.1567

***

Record 2
The following is a PBE calculation of a geometry-optimized Pa2Ti2S7 structure, from Alexandria via LeMat-Bulk.

Values from the calculation:
Uncorrected formation energy: -1341 meV per atom

Cell: 8.7379 8.7379 8.7379 Å, 60.00 60.00 60.00°
Fractional positions:
Pa: 0.6250 0.6250 0.6250
Pa: 0.6250 0.6250 0.1250
Pa: 0.6250 0.1250 0.6250
Pa: 0.1250 0.6250 0.6250
Ti: 0.6250 0.1250 0.1250
Ti: 0.1250 0.6250 0.1250
Ti: 0.1250 0.1250 0.6250
Ti: 0.1250 0.1250 0.1250
S: 0.2184 0.2184 0.7816
S: 0.2184 0.7816 0.2184
S: 0.4684 0.0316 0.4684
S: 0.4684 0.4684 0.0316
S: 0.7500 0.7500 0.7500
S: 0.7816 0.2184 0.2184
S: 0.4684 0.0316 0.0316
S: 0.0316 0.4684 0.4684
S: 0.0316 0.0316 0.4684
S: 0.0316 0.4684 0.0316
S: 0.2184 0.7816 0.7816
S: 0.5000 0.5000 0.5000
S: 0.7816 0.2184 0.7816
S: 0.7816 0.7816 0.2184

***

Record 3
The following is a PBE calculation of a geometry-optimized CaAc7Pr4 structure, from Alexandria via LeMat-Bulk.

Values from the calculation:
Formation energy: 0.030 eV per atom

Cell: 7.7831 10.3327 10.3095 Å, 68.74 78.30 40.78°
Fractional positions:
Ca: 0.0000 0.0000 0.0000
Ac: 0.7520 0.5025 0.0028
Ac: 0.2480 0.4975 0.9972
Ac: 0.0022 0.3342 0.6633
Ac: 0.9978 0.6658 0.3367
Ac: 0.2515 0.8317 0.6601
Ac: 0.5000 0.0000 0.0000
Ac: 0.7485 0.1683 0.3399
Pr: 0.5100 0.6599 0.3372
Pr: 0.4900 0.3401 0.6628
Pr: 0.7507 0.8334 0.6654
Pr: 0.2493 0.1666 0.3346

***

Record 4
The following is a PBE calculation of a geometry-optimized CaPa2Sb3 structure, from Alexandria via LeMat-Bulk.

Values from the calculation:
Uncorrected formation energy: -507 meV per atom

Cell: 4.3749 8.7564 10.7052 Å, 107.50 90.00 104.47°
Fractional positions:
Ca: 0.5000 0.0000 0.0000
Ca: 0.0000 0.0000 0.5000
Pa: 0.1668 0.3335 0.3276
Pa: 0.8332 0.6665 0.6724
Pa: 0.3318 0.6636 0.1716
Pa: 0.6682 0.3364 0.8284
Sb: 0.9699 0.9398 0.1966
Sb: 0.0301 0.0602 0.8034
Sb: 0.6954 0.3907 0.1363
Sb: 0.3046 0.6093 0.8637
Sb: 0.3568 0.7135 0.4751
Sb: 0.6432 0.2865 0.5249

***

Record 5
The following is a PBE calculation of a geometry-optimized SiPRhO2 structure, from Alexandria via LeMat-Bulk.

Values from the calculation:
Uncorrected formation energy: 98 meV per atom
>>>

-- Response --
Fractional positions:
Fractional positions:
Fractional positions:
Fractional positions: